Sunday, December 6, 2020



Real queens' lives were chained to womanly duties and a future hinged on producing a male heir. So, writers of fictional queens probably don't want to follow the real-life rule book. Here are ten things a bad-ass queen does:

1.POLITICAL NAVIGATOR: Diplomacy. Monarchs deal with ambassadors and emissaries from other lands, as well as local leaders, guild lords, and the common people.

2.COMMANDER OF ARMED FORCES: She doesn't have to actually lead an army into battle, but she should know tactics, geography, strategies. Keep in mind she'll also have fleets, whether on the sea or in the air. (You know, airships).

3.PROTECTOR OF THE PEOPLE: She's the one in charge of disputes, local and foreign. Her word is law, unless she has a body of fellow politicians to advise her. Or keep her in check.

4.HEAD OF STATE: The Law. The queen decides who goes to prison. Who is executed or released. What laws are passed.

5.MISTRESS OF SPIES: The spymaster should report to her. Your queen can also be a conniving force if she is wed to a king and mingles with other royals, which brings us to . . .

6.SOCIAL BUTTERFLY: She'll attend events that will solidify alliances. Balls and celebrations. She'll circulate only with those she's interested in. She can love this role or dread it.

7.SPIRITUAL FIGUREHEAD: Whatever religion is most prevalent in the realm--that'll be hers. She should be attending church/stepping into temples/performing rituals in the forest. She doesn't need to keep her spirituality a secret unless you want her to.

8.FASHIONISTA: She'll be inspiring fashions. So will her companions. Even kings are considered fashion plates, with the court echoing their rulers' wardrobes.

9.MISTRESS OF THE HOUSEHOLD: Mostly, your queen will be in charge of the staff who run the staff. But she'll know where all the secret places are, the hidden passages, concealed rooms, and oubliettes.

10.SPORTSWOMAN: Horseback riding, croquet, tennis, hunting. Whatever gets a queen out of the castle.

So give your fictional queen her duties. Present her with obstacles and goals that will enrich her character and drive the plot.

Sunday, November 8, 2020


I find these 10 rules helpful when I'm creating characters. Even if I don't use half the stuff that I journal, having these little bits and pieces helps with plot development, as well as character development.

1.HOBBIES: What does you character like to do in their idle time? Study butterflies? Play Scrabble? Listen to obscure music? Collect mouse skeletons? 

2.HISTORY: Scatter a few memories throughout. Preferably significant memories that made your character who they are. Landmarks that shaped them. Did her mom teach her how to use a Polaroid and now she's a photographer? Did he once run over a toad with his bicycle? On purpose? Accident? If, on purpose, he's a budding serial killer. If, by accident, maybe he becomes a herpetologist. Did she witness something terrible near a row of lilacs and now the fragrance of lilacs sends her into a downward spiral? 

3.HABITS: Gestures and dialogue. Does he use a certain slang? Does she scratch her nose when she's laying? Does he crochet while he's thinking over a case he's trying to solve? Give your character at least one habit out of type (but not too many, or they'll appear twitchy.)

4.DESIRES: What the character wants. What do they yearn for? Does she want a beautiful cottage by the ocean? Does he want to rule a kingdom on Mars? Does she dream of becoming an author of a mythical atlas? It has to be something that will change their lives. Something they're willing to sacrifice everything for.

5.ACTIONS: Is your character a hero or a villain? A trickster or an anti-hero? What path do you want this character to follow? Succeed or fail? Be solitary or have friends? His actions must always strive toward your ultimate goal for this character. She has to take action in every scene she's in. This ishow she carries the story, how she swims forward against the obstacles flung at her. She has to cross that bridge of teeth. He has to steal that rare book written by his grandfather.

6.LIKES: What are your character's favorite things? Mint jelly? Men in powdered wigs? Charlotte's Web? Peacock blue lipstick? Give them likes and dislikes.

┌──
Diffraction record for Li9Co7O16. The powder diffraction line list is theoretical, not measured: it uses a structure optimized by DFT (PBE+U) and Cu Kα (weighted mean of Kα1 and Kα2).
Lines closer than 0.1° are merged.

Most intense lines, 2θ = 15–90°, by intensity:
18.39 deg, intensity 100
43.76 deg, intensity 80
36.20 deg, intensity 27
36.09 deg, intensity 14
57.61 deg, intensity 10
63.03 deg, intensity 7
63.45 deg, intensity 7
63.95 deg, intensity 7
63.77 deg, intensity 7
63.29 deg, intensity 7
64.15 deg, intensity 7
47.64 deg, intensity 5

Atomic structure:
Unit cell a=5.0298 b=5.8378 c=9.7883 alpha=90.15 beta=99.63 gamma=90.18
Atoms (fractional coordinates):
1 Li 0.0000 0.0000 0.0000
2 Li 0.2426 0.0013 0.7547
3 Li 0.2484 0.2445 0.2450
4 Li 0.2488 0.4974 0.7522
5 Li 0.2512 0.7530 0.2441
6 Li 0.7488 0.2470 0.7559
7 Li 0.7512 0.5026 0.2478
8 Li 0.7516 0.7555 0.7550
9 Li 0.7574 0.9987 0.2453
10 Co 0.0000 0.5000 0.0000
11 Co 0.0031 0.2484 0.5017
12 Co 0.4982 0.7555 0.9994
13 Co 0.5000 0.0000 0.5000
14 Co 0.5000 0.5000 0.5000
15 Co 0.5018 0.2445 0.0006
16 Co 0.9969 0.7516 0.4983
17 O 0.1214 0.9908 0.3818
18 O 0.1347 0.7274 0.8909
19 O 0.1360 0.2714 0.8922
20 O 0.1390 0.4889 0.3898
21 O 0.3539 0.5062 0.1103
22 O 0.3740 0.7307 0.6118
23 O 0.3758 0.2304 0.6200
24 O 0.3986 0.0069 0.1177
25 O 0.6014 0.9931 0.8823
26 O 0.6242 0.7696 0.3800
27 O 0.6260 0.2693 0.3882
28 O 0.6461 0.4938 0.8897
29 O 0.8610 0.5111 0.6102
30 O 0.8640 0.7286 0.1078
31 O 0.8653 0.2726 0.1091
32 O 0.8786 0.0092 0.6182



Diffraction record for Zn2W3O8. The powder diffraction line list is theoretical, not measured: it uses a structure optimized by DFT (PBE+U) and Cu Kα (weighted mean of Kα1 and Kα2).
Lines closer than 0.1° are merged.

Most intense lines, 2θ = 15–90°, by intensity:
16.31 deg, intensity 100
35.86 deg, intensity 53
28.91 deg, intensity 41
36.10 deg, intensity 27
17.08 deg, intensity 24
42.34 deg, intensity 23
36.75 deg, intensity 22
44.66 deg, intensity 21
57.24 deg, intensity 20
54.02 deg, intensity 19
29.72 deg, intensity 16
64.17 deg, intensity 15

Atomic structure:
Unit cell a=6.4787 b=6.4787 c=5.0037 alpha=107.30 beta=107.30 gamma=54.28
Atoms (fractional coordinates):
1 Zn 0.1870 0.1870 0.1379
2 Zn 0.8130 0.8130 0.8621
3 W 0.2715 0.7285 0.5000
4 W 0.5000 0.5000 0.0000
5 W 0.7285 0.2715 0.5000
6 O 0.0973 0.0973 0.7232
7 O 0.1466 0.6344 0.7385
8 O 0.3656 0.8534 0.2615
9 O 0.3676 0.3676 0.2353
10 O 0.6324 0.6324 0.7647
11 O 0.6344 0.1466 0.7385
12 O 0.8534 0.3656 0.2615
13 O 0.9027 0.9027 0.2768



Diffraction record for Mg4V5Te3O18. The powder diffraction line list is theoretical, not measured: it uses a structure optimized by DFT (PBE+U) and Cu Kα (weighted mean of Kα1 and Kα2).
Lines closer than 0.1° are merged.

Most intense lines, 2θ = 15–90°, by intensity:
20.40 deg, intensity 100
34.30 deg, intensity 61
33.89 deg, intensity 59
28.91 deg, intensity 56
60.06 deg, intensity 36
28.16 deg, intensity 35
21.42 deg, intensity 35
54.16 deg, intensity 35
└──

7.ECCENTRICITIES: Strange habits, weird thoughts, odd things that have happened to your character throughout their history. He only reads leather bound books. She picks her teeth with peacock quills.

(Inserted here: crystal structures)
- - -
This entry pairs a crystal structure of Ba3FeRu2O9 with its theoretical powder diffractogram. Radiation: λ = 1.5418 Å (Cu Kα). Structure: DFT lattice parameters and positions (PBE+U).
Kinematic intensities with the Lorentz-polarization factor, no thermal factor.

Atomic structure:
Unit cell a=5.8105 b=5.8105 c=14.1456 alpha=90.00 beta=90.00 gamma=120.00
Sites, in units of the cell vectors:
1 Ba 0.0000 0.0000 0.2500
2 Ba 0.0000 0.0000 0.7500
3 Ba 0.3333 0.6667 0.0879
4 Ba 0.3333 0.6667 0.4121
5 Ba 0.6667 0.3333 0.5879
6 Ba 0.6667 0.3333 0.9121
7 Fe 0.0000 0.0000 0.0000
8 Fe 0.0000 0.0000 0.5000
9 Ru 0.3333 0.6667 0.6607
10 Ru 0.3333 0.6667 0.8393
11 Ru 0.6667 0.3333 0.1607
12 Ru 0.6667 0.3333 0.3393
13 O 0.0176 0.5088 0.7500
14 O 0.1689 0.3378 0.5822
15 O 0.1689 0.3378 0.9178
16 O 0.1689 0.8311 0.5822
17 O 0.1689 0.8311 0.9178
18 O 0.3378 0.1689 0.0822
19 O 0.3378 0.1689 0.4178
20 O 0.4912 0.5088 0.7500
21 O 0.4912 0.9824 0.7500
22 O 0.5088 0.0176 0.2500
23 O 0.5088 0.4912 0.2500
24 O 0.6622 0.8311 0.5822
25 O 0.6622 0.8311 0.9178
26 O 0.8311 0.1689 0.0822
27 O 0.8311 0.1689 0.4178
28 O 0.8311 0.6622 0.0822
29 O 0.8311 0.6622 0.4178
30 O 0.9824 0.4912 0.2500

Most intense lines, 15 to 90 degrees two-theta, sorted by position:
2θ = 25.90°, intensity 27; 2θ = 30.78°, intensity 100; 2θ = 30.91°, intensity 51; 2θ = 36.43°, intensity 19; 2θ = 40.64°, intensity 21; 2θ = 44.18°, intensity 31; 2θ = 48.42°, intensity 13; 2θ = 54.76°, intensity 39; 2θ = 64.11°, intensity 19; 2θ = 89.21°, intensity 16


[1]
Starting from DFT lattice parameters and positions (PBE), the powder XRD pattern of Zr3Sc2Hg3 was simulated for λ = 1.5418 Å (Cu Kα).

Crystal structure
abc: 6.279 6.279 5.208
angles: 90.00 90.00 120.00
Element x y z (fractional)
Zr (0.173, 0.347, 0.000)
Zr (0.173, 0.827, 0.000)
Zr (0.653, 0.827, 0.000)
Sc (0.333, 0.667, 0.500)
Sc (0.667, 0.333, 0.000)
Hg (0.330, 0.165, 0.500)
Hg (0.835, 0.165, 0.500)
Hg (0.835, 0.670, 0.500)

Main lines, in order of rising 2θ (15° ≤ 2θ ≤ 90°):
2θ 32.9, I 30.0; 2θ 34.4, I 26.8; 2θ 37.3, I 100.0; 2θ 48.4, I 20.7; 2θ 63.6, I 20.9; 2θ 70.0, I 19.9

---

[2]
Starting from DFT lattice parameters and positions (PBE), the powder XRD pattern of TbPa3N6 was simulated for λ = 1.5418 Å (Cu Kα).

Crystal structure
abc: 6.807 6.807 3.665
angles: 90.00 90.00 110.29
Element x y z (fractional)
Tb (0.000, 0.000, 0.000)
Pa (0.000, 0.500, 0.500)
Pa (0.500, 0.000, 0.500)
Pa (0.500, 0.500, 0.000)
N (0.150, 0.850, 0.500)
N (0.168, 0.427, 0.000)
N (0.427, 0.168, 0.000)
N (0.573, 0.832, 0.000)
N (0.832, 0.573, 0.000)
N (0.850, 0.150, 0.500)

Main lines, in order of rising 2θ (15° ≤ 2θ ≤ 90°):
2θ 28.0, I 100.0; 2θ 29.1, I 92.7; 2θ 32.0, I 29.4; 2θ 33.6, I 52.7; 2θ 47.1, I 57.4; 2θ 56.0, I 30.9


Diffraction record for Na5Cr3F14. The PXRD pattern is theoretical, not measured: it uses DFT lattice parameters and positions (GGA+U) and Cu Kα, 1.54184 Å.

Cell: 7.4274 7.3459 12.8737 Å, 90.00 124.29 90.00°
Fractional coordinates of all 44 atoms:
- - -

8.SECRETS: Everyone loves a good secret. It doesn't always have to be a tragic one. But a character's secret can result in a grand betrayal or an unexpected alliance. He lived in a haunted house when he was young. She grows poison plants. He's a doppelganger searching for his missing original.

9.OBJECTS/CLOTHING: What they own. What they like to wear. Set decoration. A Margaret Keane painting of one of those big-eyed kids. A maple leaf with a name inked on it in gold. A corset embroidered with blue doves. A naga-handled kris dagger.

10.FAMILY/FRIENDS: The people who surround your character. Your character's support system. These can be actual family and found family, who are usually friends. They can follow the roles of advisors, allies, adversaries, troublemakers, comrades-in-arms, sibling substitutes, parent substitutes, etc; These are the people who reflect your character's strengths and weaknesses.

Monday, October 19, 2020

10 Scary Books Halloween 2020

I've included some classics, non-fiction,YA, mystery, and dark fantasy for this year's Halloween Reads Post:)

1.The White People and Other Stories by Arthur Machen

A classic of eerie horror. The title story is told to one man by another, and concerns a green book, the journal of a girl whose nanny had a connection with malevolent spirit folk. That nanny's influence might have sent the girl spiraling into madness. The Great God Pan is another disturbing tale with lovely bits of mythic darkness.

2.The Call by Peadar O'Guilin

This was YA horror? Set in contemporary Ireland, it's a Hunger Games with Very Bad Faery Folk, the type that make living skin suits out of the teenagers they hunt for five minutes in faeryland. If you survive, you win. Very few survive. Death is preferable.

3.The World of Lore: Dreadful Places by Aaron Mahnke

An entertaining collection of urban legends and haunted places examined by Mahnke, whose podcast of the same name is also fascinating. There are two other books in this collection--Wicked Mortals and Monstrous Creatures.

4.Never-Contented Things by Sarah Porter

Ksenia has to save her foster sibling Josh from Prince and his tribe, glamorous creatures disguised as teenagers, who lure young people into a mirror world to feed off of their emotions. Ksenia plays along with these soul-sucking creatures until she can find a way out--and the sacrifice she must make is heartbreaking. Also, the never-contented things are creepy.

5.Coldheart Canyon by Clive Barker

An action star's plastic surgery leaves him disfigured, so he isolates himself by purchasing a mansion once owned by a Romanian actress who may have been a witch. He soon learns she and her disciples never left. The ghosts are disturbing, a crossbreeding of the phantoms of Hollywoood stars and the wraiths of a menagerie of exotic beasts kept by the witch.

6.Ninth House by Leigh Bardugo

Alex is given a free ride to Yale University because she can see the dead. She becomes an apprentice to Darlington, the young man who teaches her the ways of Lethe House, which polices the Houses of the Veil--the secret societies like Skull and Bones, who actually practice magic. The ghosts are terrifying, as is Alex's stumbling alone through this world when she loses Darlington.

7.HeartBeast by Tanith Lee

A werewolf story. Like all of Lee's writing, it's strange, lyrical, elegant, and brutal. Daniel, a beautiful young adventurer, becomes the victim of a horrific curse while traveling the world in what seems to be the early 19th century. and then he comes home . . . Striking imagery and fascinating characters.

8.A Head Full of Ghosts by Paul Tremblay

A reality show is following a teenager who is soon to be exorcised. The events are told in flashback by her sister, now a writer haunted by what took place. It's a chilling and absolutely disturbing story of what might be a demonic possession or horrific episodes of schizophrenia.

9.In The Woods by Tana French

A pair of Irish detectives investigate the terrible murder of a young girl in the woods--the same woods where one of the detectives, as a child, became lost with two of his friends. He was the only one who returned. His friends were never found. and he has chilling flashbacks of an antlered man. Saturated with bits of what could potentially be supernatural--or not--it's a story of a damaged man determined to find justice for a murdered child.

10.The Drowning Girl by Caitlin R. Kiernan

A contemporary dark fairy tale/ghost story about a young woman named India, who suffers from schizophrenia, and whose relationship with a mysterious hitchhiker--who might be either a werewolf or a mermaid--leads to tragedy for one, and healing for the other

Sunday, September 13, 2020

10 Classics That Aren't Boring


Jane Eyre by Charlotte Bronte

Poor girl tells off rich gentleman. rich gentleman is brooding and has a dark secret. Jane is fierce. Rochester is a moody playboy. It's a Gothic tale with lovely dialogue that sizzles with innuendo. Jane Eyre herself is a changeling creature, challenging Rochester's dominion.

The Three Musketeers by Alexandre Dumas

A gorgeous rendering of historical France. It's the swashbuckling tale of young d'Artagnan, who wishes to join the Musketeers, an elite group of guardsmen. The Three Musketeers are noble rogues. The villain is unforgettable--Milady de Winter. Though an aristocrat, Dumas's grandmother was an enslaved woman of African descent, and he served in the military, which lends this tale an interesting history.

Jamaica Inn by Daphne du Maurier

Mary Yellan is sent to live with her aunt. When she arrives at her aunt's inn,she meets her aunt's brutal husband and his young rogue of a brother, Jem. She realizes her uncle is in charge of a gang of wreckers, who deliberately cause shipwrecks to drown and rob the crew. Things get grimly Gothic from there.

Frankenstein by Mary Shelley

Perhaps one of the first horror tales written by a woman. the monster, a reanimated corpse, is described by his creator, Doctor Frankenstein, as beautiful--before the monster escapes into the world to wreak havoc because he's bitter about being rejected by his young creator. Some scenes from the monster's POV are terrifying.

A House in the Country by Jose Donoso

The Venturas are a wealthy South American family whose lives are touched with elements of magic realism. The adults are distant. The children are the main characters and exist in a realm of their own, one that disturbingly mirrors that of the adults. they are oppressed by the brutal, cruel servants. It's a political allegory, but also a beautifully written tale, where even dandelion fluff becomes sinister.

Wuthering Heights by Emily Bronte

A Gothic romance set on the British moors, a ghost story as well. Heathcliff is fascinating at first, described as a changeling when he's brought to live with young Catherine Earnshaw's family. they grow up together, but Catherine becomes less fey, and more drawn to the real world, as Heathcliff twists into someone monstrous due to mistreatment and bitterness. It's a tale scattered with bits of the supernatural.

Song of Solomon by Toni Morrison

A surreal fable about Macon Dead, a young man growing up amidst an eccentric cast of characters with fabulous names (First Corinthians, Guitar, Hagar). Macon 'Milkman' searches for identity and his longing to fly is symbolic of his life.

The Sailor Who Fell From Grace With the Sea by Yukio Mishima

A disturbing tale with gorgeous prose, the story follows the intelligent, but delinquent teen Noboru in the early 1960s and his obsession with his elegant mother's sailor boyfriend. The themes of honor and glory provoke a downward spiral for the teen protagonist and a grim fate for the sailor.

Great Expectations by Charles Dickens

With a young hero named Pip attempting to succeed in grim Victorian London, and Estella, a girl raised by a bitter woman left at the altar (a girl raised solely to destroy boys), this is a coming of age fairy tale with a cast of eccentric characters, told from the hero's POV.

One Thousand and One Nights (Various translations)

A lovely collection of Middle Eastern fairy tales (any edition illustrated by Maxfield Parrish is a must-have). The framing device concerns Scheherazade, the bride of a ruler who kills his wives. She's attempting to distract him to hold off her death by telling stories. This is the origin of Aladdin, Ali Baba, and Sinbad the sailor, among others. It's also a great example of foreshadowing and thematic patterning, a story within a story.

Tuesday, August 18, 2020

10 Television Fantasy Series Characters You Need to Meet (2020)

Emma Larsimon (Marianne) A horror writer who returns to her hometown which is being haunted by her creation, a malevolent witch. Brave and flawed, Emma is uniquely French, and was once a teen troublemaker. 

Wei Wuxian (Untamed) A rule-breaker in an immaculate society of magical cultivators, he's a trickster on his way to becoming a dark anti-hero.

Rosa Steenwijk (Ares). Shes a biracial young woman with a chip on her shoulder, who might throw away her humanity to be among the wealthy elite in a secret society.

Ava Silva (Warrior Nun) An orphaned girl raised from the dead, she definitely has that Buffy vibe, European style.

Jo Yeong (The King: Eternal Monarch) He's the captain of the king's guard, his unbreakable sword, loyal to a fault, stoic and movie-star glam, a stern demeanor only made more charming when he meets his goofy doppelganger in a mirror world.

Anansi (American Gods) A tempestuous trickster god who speaks with an angry poetry and dresses like a vaudevillian gentleman. He speaks the funniest lines and the harshest truths.

Klaus Hargreeves (The Umbrella Academy) A walking id with a heart of gold, he has a serious power--he can see and speak with the dead. 

The Weeping Monk (Cursed) Brooding and on the wrong side of the narrative, he's a mystery shrouded in a hood and hunting down faery folk.

Mrs. Coulter (His Dark Materials) Her familiar is a golden ape. Despite her sophistication, she has a feral side that is terrifying when she's angry.

Yennifer (the Witcher) A sorceress whose rise to mercenary is brutal but fascinating, the facets of her character both strong and compassionate.

(Images courtesy of Netflix)